Contents:
-- begin --
C44H30Cl6F3GeN5O8SSbSeTi | wB97M-V/def2-TZVPD

Properties
Total charge = -2
LUMO level (spin up / spin down) = 2.36 / 2.37 eV
Multiplicity = 2

CARTESIAN COORDINATES (ANGSTROEM)
1 Sb -2.50670 1.16789 1.54435
2 Se 0.17646 -5.02448 1.85409
3 Ge 0.08497 -1.33073 4.27774
4 Ti 0.89618 -0.57056 1.20812
5 Cl 0.69057 2.85510 0.33786
6 Cl 1.75901 5.56290 -0.07689
7 Cl 5.99759 2.25495 0.04621
8 Cl -0.42999 -2.81930 5.98901
9 Cl -1.81678 -0.01534 4.68243
10 Cl 1.78627 -0.19636 5.41690
11 S -0.94228 -2.05576 0.43587
12 F 0.51588 -1.20231 -8.24483
13 F 1.70639 -2.84833 -7.52189
14 F -0.44196 -2.99062 -7.51544
15 O 0.61578 0.76147 2.42886
16 O -1.53221 -1.20895 -0.57347
17 O 0.53060 -2.25856 0.16314
18 O 3.49849 3.93282 3.45549
19 O 1.38168 2.53017 3.54735
20 O -1.63150 -3.30490 0.63211
21 O 5.34856 4.05285 2.26106
22 O -0.84370 -1.20196 1.70385
23 N 2.24068 -1.90486 2.61844
24 N 2.78994 0.39835 1.10638
25 N 1.87263 -5.30950 1.43562
26 N 3.97496 0.47166 0.43143
27 N 0.50472 -3.46169 2.59819
28 C 0.55860 -1.56902 -5.89137
29 C 2.54687 -4.21182 1.75777
30 C 0.46714 -0.20049 -5.67224
31 C 4.63452 1.60689 0.82641
32 C 2.76325 1.44087 1.96394
33 C 0.65600 -0.55313 -3.28657
34 C 5.79353 -0.78712 -0.64232
35 C -2.12826 4.69135 -1.04942
36 C 1.75504 -3.14003 2.33620
37 C 0.75024 -0.10152 -1.94616
38 C 3.57482 -1.79666 2.60734
39 C 4.42450 -2.79905 2.14223
40 C 0.66052 -2.44032 -4.80678
41 C -6.47874 3.33589 1.62758
42 C -5.15552 3.01865 1.34298
43 C 6.22021 -1.88114 -1.37357
44 C 3.90890 2.24304 1.80991
45 C -6.46123 1.76709 3.43556
46 C -2.42605 2.42227 -0.26043
47 C 5.32119 -2.84472 -1.80187
48 C 1.44043 3.98991 -0.81441
49 C 4.30932 3.49038 2.52433
50 C -4.78215 -2.60707 1.57858
51 C -2.14427 2.86579 -2.61061
52 C 3.53801 -1.59865 -0.76735
53 C 0.57921 -2.13390 -7.26954
54 C 0.78518 0.12510 -0.74870
55 C -2.05923 4.22678 -2.35827
56 C 0.70663 -1.93824 -3.52469
57 C -4.59207 -0.44094 -0.14069
58 C 1.53845 1.62330 2.74098
59 C -2.30750 3.78975 -0.01249
60 C -7.14043 2.70319 2.66701
61 C 0.51685 0.30237 -4.38514
62 C 3.97986 -2.69268 -1.48564
63 C -5.50835 -2.59654 0.39980
64 C -5.41932 -1.50683 -0.45530
65 C -4.46716 2.07108 2.09132
66 C 3.92813 -3.99979 1.67015
67 C -5.13872 1.46395 3.15156
68 C -2.31103 1.96114 -1.56674
69 C -3.82661 -0.46787 1.01881
70 C 4.43887 -0.61955 -0.33968
71 C -3.94443 -1.54303 1.88658
72 H 2.63914 3.40034 3.55911
73 H 2.48719 -1.51882 -0.52906
74 H 0.74664 4.13387 -1.63662
75 H 0.70584 -3.50727 -4.98571
76 H -6.00015 -1.48474 -1.37094
77 H -4.66427 3.51552 0.51781
78 H -8.17854 2.93445 2.87578
79 H 6.52440 -0.08310 -0.28922
80 H -6.96930 1.26496 4.25039
81 H 5.66153 -3.70213 -2.36647
82 H -2.32550 0.89355 -1.75248
83 H -2.03304 5.75047 -0.84143
84 H 0.77597 -2.60129 -2.67230
85 H -3.37143 -1.56983 2.80540
86 H 5.49270 -2.62711 2.14887
87 H -4.53741 0.41469 -0.80365
88 H -2.34353 4.14638 1.01278
89 H -6.99794 4.07216 1.02359
90 H -6.15261 -3.43173 0.14984
91 H 3.26182 -3.44137 -1.79282
92 H 7.27570 -1.98235 -1.59240
93 H 0.45696 1.36938 -4.21772
94 H 3.96197 -0.87862 3.03410
95 H -4.61366 0.73463 3.75964
96 H -2.07890 2.50634 -3.63160
97 H 2.39101 3.57492 -1.13684
98 H -1.93333 4.92893 -3.17446
99 H 0.36242 0.46476 -6.51859
100 H 4.58064 -4.78183 1.30681
101 H -4.85578 -3.44782 2.25714

Atomic forces in eV per Å
-1.0767 0.7009 0.0284
1.0342 0.5015 0.4864
-0.6892 0.2586 1.0287
1.2874 -1.2935 -0.8342
0.2762 1.1391 -0.5452
0.0687 0.2146 0.0668
0.1116 -0.1378 -0.1067
0.0244 -0.3234 0.2211
-0.2166 0.1649 0.3024
0.4204 0.2879 0.3462
-2.0078 -0.0701 -1.3452
-0.0194 0.1260 0.1627
-0.0036 0.0188 0.1338
-0.0060 0.0235 0.1582
0.5591 2.9524 2.0198
-0.3549 -0.4257 -0.3278
0.3421 -1.3742 -0.3706
0.0210 0.0927 0.0407
0.4270 -0.0381 -0.2963
0.1099 -0.3353 0.2950
0.0177 -0.0664 -0.0268
-1.0374 -0.7126 -0.2229
1.5857 -0.2254 -0.3327
1.6658 1.4027 0.9621
0.0347 -0.3724 -0.2331
-0.4133 0.9080 0.7240
-0.4693 -0.4975 -0.5132
-0.0060 0.0626 0.1041
-0.5881 0.4040 0.2582
0.0207 -0.1388 -0.1838
-0.2679 -0.0239 -0.1647
1.2089 -0.8334 -1.5449
-- stop --

Activity:
The reader should echo the part of the rows further up that starts with the line with "-4.78215 -2.60707" and stops after the one with "0.7240".

Worked solution:
50 C -4.78215 -2.60707 1.57858
51 C -2.14427 2.86579 -2.61061
52 C 3.53801 -1.59865 -0.76735
53 C 0.57921 -2.13390 -7.26954
54 C 0.78518 0.12510 -0.74870
55 C -2.05923 4.22678 -2.35827
56 C 0.70663 -1.93824 -3.52469
57 C -4.59207 -0.44094 -0.14069
58 C 1.53845 1.62330 2.74098
59 C -2.30750 3.78975 -0.01249
60 C -7.14043 2.70319 2.66701
61 C 0.51685 0.30237 -4.38514
62 C 3.97986 -2.69268 -1.48564
63 C -5.50835 -2.59654 0.39980
64 C -5.41932 -1.50683 -0.45530
65 C -4.46716 2.07108 2.09132
66 C 3.92813 -3.99979 1.67015
67 C -5.13872 1.46395 3.15156
68 C -2.31103 1.96114 -1.56674
69 C -3.82661 -0.46787 1.01881
70 C 4.43887 -0.61955 -0.33968
71 C -3.94443 -1.54303 1.88658
72 H 2.63914 3.40034 3.55911
73 H 2.48719 -1.51882 -0.52906
74 H 0.74664 4.13387 -1.63662
75 H 0.70584 -3.50727 -4.98571
76 H -6.00015 -1.48474 -1.37094
77 H -4.66427 3.51552 0.51781
78 H -8.17854 2.93445 2.87578
79 H 6.52440 -0.08310 -0.28922
80 H -6.96930 1.26496 4.25039
81 H 5.66153 -3.70213 -2.36647
82 H -2.32550 0.89355 -1.75248
83 H -2.03304 5.75047 -0.84143
84 H 0.77597 -2.60129 -2.67230
85 H -3.37143 -1.56983 2.80540
86 H 5.49270 -2.62711 2.14887
87 H -4.53741 0.41469 -0.80365
88 H -2.34353 4.14638 1.01278
89 H -6.99794 4.07216 1.02359
90 H -6.15261 -3.43173 0.14984
91 H 3.26182 -3.44137 -1.79282
92 H 7.27570 -1.98235 -1.59240
93 H 0.45696 1.36938 -4.21772
94 H 3.96197 -0.87862 3.03410
95 H -4.61366 0.73463 3.75964
96 H -2.07890 2.50634 -3.63160
97 H 2.39101 3.57492 -1.13684
98 H -1.93333 4.92893 -3.17446
99 H 0.36242 0.46476 -6.51859
100 H 4.58064 -4.78183 1.30681
101 H -4.85578 -3.44782 2.25714

Atomic forces in eV per Å
-1.0767 0.7009 0.0284
1.0342 0.5015 0.4864
-0.6892 0.2586 1.0287
1.2874 -1.2935 -0.8342
0.2762 1.1391 -0.5452
0.0687 0.2146 0.0668
0.1116 -0.1378 -0.1067
0.0244 -0.3234 0.2211
-0.2166 0.1649 0.3024
0.4204 0.2879 0.3462
-2.0078 -0.0701 -1.3452
-0.0194 0.1260 0.1627
-0.0036 0.0188 0.1338
-0.0060 0.0235 0.1582
0.5591 2.9524 2.0198
-0.3549 -0.4257 -0.3278
0.3421 -1.3742 -0.3706
0.0210 0.0927 0.0407
0.4270 -0.0381 -0.2963
0.1099 -0.3353 0.2950
0.0177 -0.0664 -0.0268
-1.0374 -0.7126 -0.2229
1.5857 -0.2254 -0.3327
1.6658 1.4027 0.9621
0.0347 -0.3724 -0.2331
-0.4133 0.9080 0.7240